Source >
<<<
Entry 1:
C36H28F3N3O4 in the gas phase. Source: the OMol25 dataset; level of theory: the ωB97M-V functional and the def2-TZVPD basis.

Summary:
* Kohn-Sham gap: 0.345 hartree
* energy above the lowest of the compared OMol25 structures with the same formula, charge and spin: 0.000 eV
* F_max: 0.541 eV/A
* E_tot: -58603.3998 eV

Structure (ORCA input):
```
! RIJCOSX wB97M-V def2-TZVPD def2/J DEFGRID3
* xyz 0 1
C 2.867 -1.618 0.416
H -1.691 -2.924 0.807
C 0.913 3.510 -1.000
C 0.351 2.063 -1.024
F 7.078 -3.039 -1.199
H -2.399 -4.919 -1.573
C -3.192 1.312 -0.961
C -4.020 -4.192 -0.378
H 6.131 -0.732 -1.442
C 3.952 -2.470 0.482
C -3.718 -1.813 -1.776
H -3.247 -2.868 2.707
C -4.239 -0.671 3.982
C -2.871 -1.943 2.296
C 5.124 -2.150 -0.191
N -2.741 0.458 -1.941
H -3.030 1.388 2.749
H -0.842 -0.853 -0.165
H -1.093 2.754 -2.501
C 4.137 -0.115 -0.981
C 3.422 3.495 -0.898
O 1.074 0.148 1.802
N 0.084 1.593 0.312
H 1.957 -1.861 0.939
H 5.549 3.395 -0.717
O -0.792 -0.055 -3.027
H 1.081 3.822 -2.032
C 1.496 1.166 -1.488
C -2.025 2.208 -0.577
C 6.314 -3.060 -0.096
F 5.979 -4.343 0.110
H -5.594 -3.191 0.673
H 3.360 3.467 2.947
C -1.509 -0.804 0.685
C 2.960 -0.436 -0.312
H 1.258 3.595 1.691
H -4.576 -0.082 -2.696
C 4.590 3.412 1.196
C -3.041 -4.079 -1.351
H -2.369 3.236 -0.460
H 3.887 -3.387 1.047
C -4.834 -3.110 -0.090
H -5.318 -1.078 -0.564
H 5.515 3.353 1.749
H 4.202 0.799 -1.547
O 2.029 1.162 -2.561
C 2.196 3.543 1.159
H -4.531 -1.668 4.300
C -3.591 -0.541 -2.573
C -1.013 2.006 -1.708
C -1.995 -1.977 1.227
H 0.172 4.166 -0.539
C 0.984 0.664 0.723
H -3.148 -0.751 -3.550
H 3.438 3.499 -1.978
F 7.129 -2.722 0.925
O -4.310 1.337 -0.524
N 1.861 0.445 -0.372
C 4.609 3.432 -0.188
H -4.145 -5.122 0.157
H -2.125 -2.803 -2.807
C -1.428 0.669 -2.315
C -1.863 0.417 1.247
H -3.796 -0.150 4.829
C -3.271 -0.733 2.842
C 3.382 3.475 1.868
C 2.205 3.542 -0.230
C -2.744 0.440 2.315
C -4.685 -1.924 -0.786
C 5.217 -0.973 -0.922
C -1.304 1.718 0.719
C -2.887 -2.893 -2.046
H -1.394 2.481 1.502
H -5.132 -0.123 3.685
*
```

=====

Entry 2:
A molecular structure, C5H8N2 in a non-equilibrium geometry. Source: the OMol25 dataset; level of theory: the ωB97M-V functional and the def2-TZVPD basis.

Summary:
* Kohn-Sham gap (spin up / spin down): 0.306 / 0.284 hartree
* energy above the lowest of the compared OMol25 structures with the same formula, charge and spin: 5.006 eV
* F_max: 2.292 eV/A
* E_tot: -8289.9903 eV

Structure (ORCA input):
```
! RIJCOSX wB97M-V def2-TZVPD def2/J DEFGRID3
* xyz 0 1
H 0.326 2.371 -1.676
H 0.274 -1.391 -1.731
C 0.343 -0.180 0.774
H -0.622 0.593 2.379
H 1.364 -0.521 0.549
H 0.722 -0.263 2.754
H 1.759 1.272 -1.251
H -1.501 -0.981 -1.765
H -1.145 1.092 -0.247
N 0.326 0.388 2.085
C -0.582 -1.329 0.296
C -0.130 0.713 -0.394
C 0.699 1.491 -1.158
N -1.257 -2.295 0.575
C -0.575 -0.957 -1.189
*
```

=====

Entry 3:
CH3IS in the gas phase in a non-equilibrium geometry. Source: the OMol25 dataset; level of theory: the ωB97M-V functional and the def2-TZVPD basis.

Summary:
* Kohn-Sham gap (spin up / spin down): 0.283 / 0.191 hartree
* energy above the lowest of the compared OMol25 structures with the same formula, charge and spin: 1.215 eV
* F_max: 3.802 eV/A
* E_tot: -20016.4528 eV

Structure (ORCA input):
```
! RIJCOSX wB97M-V def2-TZVPD def2/J DEFGRID3
* xyz 0 3
H -1.107 -0.456 1.671
H 0.941 2.102 -1.930
C -0.864 -1.195 0.948
I -0.438 0.061 -0.724
S 1.783 1.579 -1.076
H -0.315 -2.091 1.111
*
```
>>>

Work order >
What is needed: count the lines above that contain the word "def2" and give the number alone.

Worked solution >
3